Monday, May 27, 2024

Let's not play VUCA with Mother Nature

Dr. Pethururaj Chelliah, Chief Architect Reliance Jio on Sustainable Ethical Computer/ICT/ AI Education

In the Series of Achieving Sustainable Development Goals and going to Moon, Mars, Infinte Galaxies/ Universes/ Dimesions/ Spaces / Places/ Celestial bodies, today we are going to see: 1. How should be the Information and Computer Technology evolve ethically with moral and humneterian values so that it's used for the benefits of all the entities by mitigating the negative sides... 2. How Aritificial Interlligence/ AI, IoT, LLM, SLM, Hardware to support Robotics, Real time decision can help establish human civilisation on Moon, Mars and beyond? 3. How to reduce energy consumption? 4. How to inculcate moral and ethical values right from younger age so that human civilisation really sustain. 5. How technology after 6th generation is going to help communication between the devices and robots and humans and technologies so that we can really establish human bases and without human intervention the robots can develop the real time sustaining human civilisation technologies on other places than Mother Earth? 6. How Aritficial Interlligence can help avoioding Environmental Catastrophe on Mother Earth? 7. Role of ICT Education, beyond getting job, for technology students, and beyond achieving Sustainable Develpoment Goals everywhere humans may go. Rest, just watch the interview. Interview of: Dr. Pethruraj Chelliah/ Dr. Peter, Ph.D. IISc Bangalore, Post Dcotorate from 2 Japanese Universities, having worked with Wipro as a Consultant and IBM as an Expert of SOA, UC, IoT and AI and presently is a Chief Architect in Reliance Jio Platform. YouTube url: Interviewer: Dr. Ashish Manohar

(Between two parts of the piece: data records)
# 1
A plane-wave DFT calculation with PBE-GGA was carried out for crystalline La5Pm4Nd2 at its relaxed geometry.

Results
formation energy from the elements: 90 meV/atom

```
11
Lattice="3.6174 0.0000 0.0000 0.0000 8.7364 -1.8363 -1.8087 -5.1791 13.7169" Properties=species:S:1:pos:R:3 pbc="T T T"
Pm 0.0000 5.9952 -0.2392
Pm 0.0000 0.2865 10.3833
Pm 1.8087 -2.4379 12.1198
Pm 1.8087 3.2708 1.4972
Nd 1.8087 3.1488 5.0756
Nd 0.0000 0.4085 6.8049
La 0.0000 5.9167 3.3825
La 0.0000 0.4957 3.2327
La 1.8087 -2.3594 8.4980
La 1.8087 0.0000 0.0000
La 1.8087 3.0616 8.6478
```

# 2
A plane-wave DFT calculation with PBE-GGA was carried out for crystalline Hg4SbI2 at its relaxed geometry.

Results
formation energy (no corrections): -0.027 eV per atom

```
7
Lattice="-5.1121 -3.8873 -0.7587 3.9151 -5.1465 0.0808 0.0112 4.1608 6.1207" Properties=species:S:1:pos:R:3 pbc="T T T"
Hg 1.4451 -4.8273 0.1898
Hg -2.7102 -4.2477 -0.1973
Hg -0.3575 -2.4702 0.1405
Hg -0.9052 -6.6035 -0.1697
I 1.6703 -2.7474 2.8691
I -2.8433 -2.1178 2.4493
Sb -1.0649 -4.7992 4.2478
```

# 3
A plane-wave DFT calculation with PBE-GGA was carried out for crystalline NaTiIn at its relaxed geometry.

Results
formation energy from the elements: 89 meV/atom

```
6
Lattice="-1.5520 -7.8730 -2.4268 3.0718 -0.6404 0.1132 -0.6430 -2.2791 4.5527" Properties=species:S:1:pos:R:3 pbc="T T T"
Ti -0.1424 -4.2594 1.5393
Ti 1.0192 -6.5331 0.6998
Na -0.9416 -8.5815 -1.2250
Na 1.8184 -2.2111 3.4642
In -0.8829 -7.5879 2.8008
In 1.7597 -3.2046 -0.5617
```

# 4
A plane-wave DFT calculation with PBE-GGA was carried out for crystalline NaTmCuO2 at its relaxed geometry.

Results
formation energy (no corrections): -1.730 eV per atom

```
10
Lattice="5.6254 0.0000 0.0000 0.0000 6.5191 -0.3828 0.0000 -2.4009 6.1003" Properties=species:S:1:pos:R:3 pbc="T T T"
O 3.9585 3.3638 5.3757
O 1.6669 0.7544 0.3418
O 1.6669 4.5643 2.3256
O 3.9585 -0.4461 3.3919
Na 4.6506 1.4589 4.3838
Na 0.9748 2.6593 1.3337
Cu 0.0000 -1.2005 3.0502
Cu 0.0000 0.0000 0.0000
Tm 2.8650 -0.6002 1.5251
Tm 2.7604 -1.8007 4.5752
```

# 5
A plane-wave DFT calculation with PBE-GGA was carried out for crystalline Y2OsW at its relaxed geometry.

Results
formation energy from the elements: 506 meV/atom

```
4
Lattice="3.0351 -0.0093 0.0000 -0.9912 2.8687 0.0000 0.0000 0.0000 9.3416" Properties=species:S:1:pos:R:3 pbc="T T T"
Os 1.0219 1.4297 2.3354
Y 0.0000 0.0000 4.5201
Y 0.0000 0.0000 0.1507
W 1.0219 1.4297 7.0062
```

# 6
A plane-wave DFT calculation with PBE-GGA was carried out for crystalline Rb2HfPdF6 at its relaxed geometry.

Results
formation energy (no corrections): -2.742 eV per atom

```
10
Lattice="6.4621 0.0000 0.0000 0.0000 6.4621 0.0000 3.2311 3.2311 5.0342" Properties=species:S:1:pos:R:3 pbc="T T T"
F 5.0446 5.0446 0.0000
F 3.2311 3.2311 3.0268
F 6.4621 6.4621 2.0075
F 5.0446 1.4176 0.0000
F 1.4176 5.0446 0.0000
F 1.4176 1.4176 0.0000
Rb 6.4621 3.2311 2.5171
Rb 3.2311 6.4621 2.5171
Pd 3.2311 3.2311 0.0000
Hf 0.0000 0.0000 0.0000
```

# 7

Dr. Vinay Nangia, Former Head DOMS, IIT Roorkee on, "Evolving Management Education towards Space Age!"

Dr. Vinay Nangia, Former Head DOMS, IIT Roorkee on, "Evolving Management Education towards Space Age!" YouTube url: Interviwed by: Dr. Ashish Manohar

Dario Ruggiero, Economist, on, "How should be the space age education in the domain of Economics. Also, how to achieve sustainable goals by circular economy?"

Dario Ruggiero, Economist, on, "How should be the space age education in the domain of Economics, to achieve Sustainable Goals on Mother Earth and whereever human may go. Also, he speaks about how to achieve sustainable goals by circular economy?" YouTube url: Interviewer: Dr. Ashish Manohar

Dr. D. P. Kothari, Former Director IIT, Delhi, on, "How should be the space age education, to achieve Sustainable Goals on Mother Earth and whereever humans may go!"

Dr. D. P. Kothari, Former Director IIT, Delhi, on, "How should be the space age education, to achieve Sustainable Goals on Mother Earth and whereever human may go!" Though he has lot of limitations and was suffering from high fever, still he called and we went to his home and interviewed him on this issue. Interviewer: Dr. Ashish Manohar, YouTube url:

Selfless soul can remain always happy

In the infinite world of God, there are infinite opportunities

Sustainble Goals are selfless goals and not selfish goals

Self Discovery starts at self and ends at biggger self, so, ultimately starts with self and ends with self.

Let's achieve universal health

Women must not spend more than 4 hours in kitchen and invest in making life good for the whole humanity

-- begin --
{
  "formula": "Li3RuC",
  "functional": "PBE-GGA",
  "state": "relaxed",
  "lattice": [[3.9103, 0.0000, 0.0000], [0.0000, 3.9103, 0.0000], [0.0000, 0.0000, 3.9103]],
  "species": ["Li", "Li", "Li", "Ru", "C"],
  "frac_coords": [[0.0000, 0.0000, 0.5000], [0.0000, 0.5000, 0.0000], [0.5000, 0.0000, 0.0000], [0.5000, 0.5000, 0.5000], [0.0000, 0.0000, 0.0000]],
  "spacegroup": "Pm-3m (221)",
  "magmom_total_mub_per_cell": 2.304,
  "density_g_cm3": 3.72,
  "de_polymorph_mev_per_atom": 0.0,
  "dft_energy_ha_per_atom": -0.14217
}

{
  "formula": "LiRu2C",
  "functional": "PBE-GGA",
  "state": "relaxed",
  "lattice": [[-3.3376, 3.3376, 2.1830], [3.3376, -3.3376, 2.1830], [3.3376, 3.3376, -2.1830]],
  "species": ["Li", "Li", "Ru", "Ru", "Ru", "Ru", "C", "C"],
  "frac_coords": [[0.0000, 0.0000, 0.0000], [0.7500, 0.2500, 0.5000], [0.2302, 0.6250, 0.1052], [0.3750, 0.4802, 0.6052], [0.5198, 0.1250, 0.8948], [0.8750, 0.7698, 0.3948], [0.2500, 0.7500, 0.5000], [0.5000, 0.5000, 0.0000]],
  "spacegroup": "I-42d (122)",
  "magmom_total_mub_per_cell": 0.000,
  "density_g_cm3": 7.55,
  "dft_energy_ha_per_atom": -0.26314
}

{
  "formula": "LiRuC3",
  "functional": "PBE-GGA",
  "state": "relaxed",
  "lattice": [[3.9704, 0.0000, 0.0000], [0.0000, 3.9704, 0.0000], [0.0000, 0.0000, 3.9704]],
  "species": ["Li", "Ru", "C", "C", "C"],
  "frac_coords": [[0.0000, 0.0000, 0.0000], [0.5000, 0.5000, 0.5000], [0.0000, 0.5000, 0.5000], [0.5000, 0.0000, 0.5000], [0.5000, 0.5000, 0.0000]],
  "spacegroup": "Pm-3m (221)",
  "magmom_total_mub_per_cell": 0.000,
  "density_g_cm3": 3.82,
  "de_polymorph_mev_per_atom": 0.0,
  "dft_energy_ha_per_atom": -0.22139
}

{
  "formula": "LiRuC",
  "functional": "PBE-GGA",
  "state": "relaxed",
  "lattice": [[3.3212, 0.0000, 0.0000], [-1.6606, 2.8763, 0.0000], [0.0000, 0.0000, 4.0638]],
  "species": ["Li", "Ru", "C"],
  "frac_coords": [[0.0000, 0.0000, 0.0000], [0.6667, 0.3333, 0.5000], [0.3333, 0.6667, 0.5000]],
  "spacegroup": "P-6m2 (187)",
  "magmom_total_mub_per_cell": 0.000,
  "density_g_cm3": 5.13,
  "de_polymorph_mev_per_atom": 0.0,
  "dft_energy_ha_per_atom": -0.24403
}
-- stop --

Pandemic proved, humanity matters, and achieving sustainble goals is not an option but necessity.

Truthful life, is real life, in theory as well as practise

1.
## NaInGa2Fe (PBE)

Data for an optimized crystal structure of NaInGa2Fe.

abc: 4.6481 4.6481 4.9420
angles: 90.00 90.00 90.00
Closest atoms and distances in Å follow each position.
Space group P4/mmm (No. 123)
Symmetry-distinct sites (fractional):
1 Na 0.0000 0.0000 0.0000 (multiplicity 1)  4 In 3.29, 8 Ga 3.39
2 In 0.5000 0.5000 0.0000 (multiplicity 1)  2 Fe 2.47
3 Ga 0.0000 0.5000 0.5000 (multiplicity 2)  2 Fe 2.32
4 Fe 0.5000 0.5000 0.5000 (multiplicity 1)  4 Ga 2.32, 2 In 2.47

Calculated values
**VASP energy**: -3.79 eV per atom
**Energy of formation**: -0.4 eV per formula unit
**Magnetization**: 0.00 μB/f.u.



2.
## SmHo6In2 (PBE)

Data for an optimized crystal structure of SmHo6In2.

abc: 12.6817 3.7347 11.9139
angles: 90.00 107.90 90.00
Closest atoms and distances in Å follow each position.
Space group C2/m (No. 12)
Symmetry-distinct sites (fractional):
1 Sm 0.0000 0.0000 0.0000 (multiplicity 2)  4 In 3.23
2 Ho 0.0133 0.0000 0.3445 (multiplicity 4)  2 In 3.21, 7 Ho 3.50-3.59
3 Ho 0.1858 0.5000 0.8749 (multiplicity 4)  2 In 3.26, 5 Ho 3.47-3.56
4 Ho 0.1900 0.5000 0.5829 (multiplicity 4)  2 In 3.27, 8 Ho 3.40-3.59
5 In 0.1441 0.5000 0.2128 (multiplicity 4)  6 Ho 3.21-3.27, 2 Sm 3.23

Calculated values
**VASP energy**: -4.38 eV per atom
**Energy of formation**: -1.8 eV per formula unit
**Excess energy over the best structure of this formula in the dataset**: 0.0 meV per atom
**Magnetization**: 0.00 μB/f.u.



3.
## Dy5NpN6 (PBE)

Data for an optimized crystal structure of Dy5NpN6.

abc: 5.9914 10.3799 5.9880
angles: 90.00 109.46 90.00
Closest atoms and distances in Å follow each position.
Space group C2/m (No. 12)
Symmetry-distinct sites (fractional):
1 Dy 0.0000 0.0000 0.0000 (multiplicity 2)  6 N 2.44-2.55
2 Dy 0.0000 0.1665 0.5000 (multiplicity 4)  6 N 2.45-2.46
3 Dy 0.0000 0.3321 0.0000 (multiplicity 4)  6 N 2.44-2.53
4 Np 0.0000 0.5000 0.5000 (multiplicity 2)  6 N 2.34-2.36
5 N 0.2382 0.5000 0.2598 (multiplicity 4)  1 Np 2.34, 5 Dy 2.45-2.55
6 N 0.2409 0.3400 0.7429 (multiplicity 8)  1 Np 2.36, 5 Dy 2.44-2.53

Calculated values
**VASP energy**: -8.77 eV per atom
**Uncorrected formation energy**: -155.95 kJ per mole of atoms
**Magnetization**: 2.80 μB/f.u.


[1]
Bi2RuO5: optimized geometry, PBE.

Raw formation energy = -1.050 eV/atom
Spin magnetization = 0.0000 μB/atom
Space group = Pnma
N(E_F) = 4.30 states/eV/f.u.

The structure in POSCAR format:
```
Bi2RuO5
1.0
7.813 0.000 0.000
0.000 3.778 0.000
0.000 0.000 15.921
Bi Ru O
8 4 20
direct
0.124 0.250 0.078
0.174 0.250 0.751
0.326 0.750 0.251
0.376 0.750 0.578
0.624 0.250 0.422
0.674 0.250 0.749
0.826 0.750 0.249
0.876 0.750 0.922
0.090 0.250 0.430
0.410 0.750 0.930
0.590 0.250 0.070
0.910 0.750 0.570
0.056 0.750 0.460
0.073 0.750 0.167
0.122 0.750 0.646
0.183 0.750 0.989
0.225 0.250 0.323
0.275 0.750 0.823
0.317 0.250 0.489
0.378 0.250 0.146
0.427 0.250 0.667
0.444 0.250 0.960
0.556 0.750 0.040
0.573 0.750 0.333
0.622 0.750 0.854
0.683 0.750 0.511
0.725 0.250 0.177
== So much for the crystal structures ==

Let's take humane decisions with human values and ethics for humanity, to achieve sustainable goals

We are citizen of the Mother Earth and infinte worlds, in fact.

Please visit YouTube url for watching, "Agriculture disastor to sustainable develpment in India":

If we achieve Sustainable Education Goals we might achieve SDG on Mother Earth, Moon, Mars and beyond